California Clearinghouse on Library Instruction-South

Meeting Minutes

Thursday, September 7, 2000
CLICS: Center for Library & Instructional Computing, UCSD

Amy Butros (UCSD Biomedical Library)
Judy Downie (CSU-San Marcos,
Nancy Getty (UC-Riverside)
Chad Kahl (CSU-LA)
Judy Lee (UC-Riverside)
Sarah McDaniel (USC)
Duffy Tweedy (UCSD CLICS)
Jeff Williams (UCSD Biomedical Library)
Victoria Williamson (UCSD)

1. Petition to become a CARL interest group:
On 9/6/2000, the CARL board voted to make CCLI-South an interest group as of 1/1/2001. We will be allowed to pay honoraria to non-librarians and out-of-state librarians, as long as our programs are self-supporting. We will have until 1/1/2002 to spend the money currently in our treasury. To retain membership after the transition our members will pay annual CARL (currently $20 for ACRL members, $30 for non-ACRL members, $10 for library school students or retirees) and join our (as yet unnamed) interest group. Many of our members are already members of CARL. Sarah McDaniel will send our contact and membership lists to Ron Rodriguez of CARL so he can make sure anyone not currently on the CARL roster will receive membership information. A copy of the petition will be placed on file with the minutes.

We should publicize the new interest group at the CARL Conference 10/5/00-10/7/00. Nancy Getty and Judy Lee will look into putting together a bookmark or brochure for the conference. This flier will announce a contest to choose a name for the group: the prize will be one yearŐs membership to CARL, and the deadline for submissions will be Wednesday, November 1. The final selection will be performed by the CARL officers at our next meeting. The results will be announced in the CARL newsletter: the deadline for submission to newsletter editor Ruth Wallach is 11/15/00. The group will be placed on the forthcoming CARL membership renewal form.


2. Treasurer's report:

A copy of the treasurer's report was given to Sarah McDaniel to file with the minutes. We have over $3,000 in our treasury. Chad Kahl's term as treasurer will end 1/1/2002, as the money must be spent by that date.


3. Transition to new officers:

Transition to new officers: Judy Lee (President), Gale Burrow (President Elect), Sarah McDaniel (Secretary), Chad Kahl (Treasurer)

Data records, as found in the file:
┌──
Entry 1:
VASP calculation (GGA-PBE) on a relaxed structure of HfCrAgS4.

```
14
Lattice="7.132 0.000 0.000 0.000 6.170 0.000 0.000 0.166 6.551" Properties=species:S:1:pos:R:3 pbc="T T T"
Hf 1.707 0.083 3.276
Hf 3.652 3.168 3.276
Cr 5.353 0.083 3.276
Cr 0.002 3.168 3.276
Ag 7.103 3.085 0.000
Ag 3.592 3.085 0.000
S 7.040 5.179 4.646
S 3.617 5.279 4.710
S 1.729 2.183 4.731
S 5.437 2.083 4.674
S 1.729 4.154 1.820
S 5.437 4.253 1.877
S 3.617 1.058 1.841
S 7.040 1.157 1.905
```

Its energy above the lowest structure with this stoichiometry is 15 meV per atom. For the formation energy, the calculation gives -1.22 eV per atom.


Entry 2:
VASP calculation (GGA-PBE) on a relaxed structure of NaYF4.

```
18
Lattice="6.060 0.000 0.000 3.023 6.337 0.000 3.022 2.298 5.913" Properties=species:S:1:pos:R:3 pbc="T T T"
Na 9.033 7.725 4.016
Na 6.087 3.543 1.152
Na 6.049 6.792 2.437
Y 9.077 6.329 0.027
Y 3.026 4.309 2.954
Y 6.051 4.757 5.392
F 5.123 6.812 4.828
F 2.128 2.650 1.619
F 5.327 4.460 3.195
F 2.305 0.307 0.026
F 7.707 5.765 4.121
F 4.682 1.636 0.899
F 7.495 3.171 4.333
F 7.583 5.244 1.436
F 3.829 2.274 3.747
F 3.964 4.280 0.749
F 9.718 6.446 2.257
F 9.765 4.493 5.238
```

For the formation energy, the calculation gives -3.96 eV per atom.


Entry 3:
VASP calculation (GGA-PBE) on a relaxed structure of LiOs2N3.

```
12
Lattice="-3.464 -4.313 0.749 4.035 1.449 4.009 -3.352 3.085 2.259" Properties=species:S:1:pos:R:3 pbc="T T T"
Li 1.070 2.519 3.846
Li -2.049 3.544 3.542
Os -1.296 0.477 2.945
Os -3.699 -1.204 1.674
Os -3.042 1.176 5.122
Os -0.639 2.858 6.392
N -2.900 1.638 3.235
N -1.402 1.073 6.229
N -0.579 -0.776 4.252
└──

4. Program planning:

A. Winter Program: CCLI-South has traditionally held an open house at the UCLA Graduate School of Education and Information Studies in early January. The format is 3-4 mini-programs, each offered twice. This program has been well attended, so we will plan an open house this year. Possible dates are 1/5 or 1/8, depending on the UCLA Quarter schedule. The program should be during break to make parking easier. Keri Botello is our contact at UCLA. CSU Fullerton is a possible alternate site due to its affiliation with the San Jose State Library School. All should work to think of program ideas and speakers. Proposed ideas were:

B. Spring Program: traditionally a speaker is invited for a program in April-June. Some possible ideas are standards, teaching as performance (good program at ALA), learning styles/teaching styles, problem-based learning, teaching methods.

5. CCLI-South calendar through January 2000:

Wed. 11/1 Deadline for submissions for naming new interest group
Fri. 11/3 Meeting at Claremont or UCR, decision on new name
Fri. 12/1 Meeting, location TBA
Fri. 1/5 Tentative Open House at UCLA. Business meeting in afternoon.


6. Library tours:

The meeting was followed by a reception and tours of CLICS, a new library and computing facility at UC San Diego.

Sarah McDaniel, Secretary